Nick Krieger
Today we introduce a new Sunday feature, The Mitten Memo by Nick Krieger. Nick will discuss topics related to Michigan law and public affairs, especially new laws being proposed in Lansing and Washington that impact Michigan residents.
He is a graduate of Ludington High School, earned a bachelor’s degree from Michigan State University, and holds a law degree and master’s degree from Wayne State University Law School. Nick works as an attorney for the Michigan Court of Appeals and owns a home in Ludington. The viewpoints expressed in The Mitten Memo are Nick’s own, and do not reflect the views of the Michigan Court of Appeals. Contact Nick via e-mail at nickkrieger77@gmail.com or follow him on Twitter at @nckrieger.
On May 5, 2015, Michigan voters will be asked to approve Proposal 1, an amendment to the Michigan Constitution that would (1) eliminate the sales tax on retail sales of gasoline and diesel fuel, (2) increase the sales tax on everything else from 6 to 7 percent, (3) dedicate a portion of Michigan’s use-tax revenue to the School Aid Fund, (4) remove four-year universities from the list of School Aid Fund beneficiaries, and (5) add community colleges, career and technical education programs, and scholarships for certain students to the list of permissible School Aid Fund uses. The additional revenue raised from the sales-tax increase would be constitutionally earmarked for a number of programs, including public schools, community colleges, career and technical education, scholarships, the public school employees’ retirement system, and revenue sharing for local governments. Do you notice anything missing from this list? What about roads? That’s right, contrary to what you might have read, the revenue generated from the proposed sales-tax hike would have nothing to do with funding Michigan’s roads. As it turns out, fixing our roads would be funded with an entirely different tax that is not part of Proposal 1 at all. Are you confused yet? You’re not the only one.
Here’s a little background. In Michigan, we currently pay 6 percent sales tax on the retail sale of gasoline and diesel fuel. Of this, 10 cents of every dollar is constitutionally dedicated to revenue sharing for local governments and approximately 73 cents of every dollar is constitutionally dedicated to the School Aid Fund. We also pay a separate fuel tax of 19 cents per gallon on gasoline and 15 cents per gallon on diesel fuel. All revenue generated from this separate fuel tax is constitutionally dedicated to transportation purposes, including the construction and maintenance of roads and bridges.
Last fall, there was widespread opinion in Lansing that the fuel tax should be increased to fix our roads. However, there was no consensus concerning how this should be accomplished. In time, the Michigan House of Representatives and Michigan Senate put forward competing ideas on the subject. Boiled down to its essence, the Senate plan would have increased the fuel tax while leaving untouched the six percent sales tax on gasoline and diesel fuel sales. The House plan, in contrast, would have gradually increased the fuel tax but would have eliminated all sales tax on retail sales of gasoline and diesel fuel. It is beyond dispute that both plans would have raised significant revenue for roads.
But as so often happens in Lansing, the House and Senate could not agree. With the end of the legislative session quickly approaching, and no road-funding deal in place, Michigan’s legislators were up against the proverbial wall. On the final full legislative day of the year, lawmakers remained in session late into the night and passed a number of compromise bills and resolutions in the early morning hours. Certain legislators, including some members of the House, continued to favor eliminating the sales tax on gasoline and diesel fuel sales and replacing it entirely with an increased fuel tax. Other legislators, including certain members of the Senate, continued to favor leaving in place the sales tax on gasoline and diesel fuel sales. In the end, the legislators passed a law amending and increasing the fuel tax, changing it from its current form (a flat tax of 19 cents per gallon of gasoline and 15 cents per gallon of diesel) to a variable, percentage-based tax of at least 41.7 cents per gallon that would apply to gasoline and diesel fuel equally. In general, the revenue raised from this revised fuel tax would be dedicated exclusively to transportation purposes, including roads and bridges. However, for the first two years of the new tax, only the first $1.2 billion would be dedicated to general transportation purposes, and any remainder would be used for debt service on certain outstanding transportation bonds. Under any other circumstances, this law amending and increasing the fuel tax would not require a constitutional amendment or a statewide election.
Of course, Lansing has a way of making everything more complicated than it needs to be. Some legislators still favored eliminating the 6 percent sales tax on gasoline and diesel fuel sales altogether. Thus, as a compromise, the House and Senate agreed to send Proposal 1 to the voters and to tie the fuel-tax increase to the proposal’s outcome. In other words, although the increased percentage-based fuel tax has already been enacted by the Legislature, signed by the Governor, and codified in Michigan law, it will not take effect unless the voters approve Proposal 1 at the May 5th election. In an effort to garner the support of Democrats along the way, legislators also passed a bill enlarging Michigan’s earned-income tax credit for future years. Similar to the fuel-tax statue, this earned-income tax credit statute is tied to the outcome of Proposal 1, and will not take effect unless voters approve the sales-tax hike in May.
<<<
# 1
Li2ScSb at its PBEsol-relaxed geometry, computed with SCAN.

## Properties
Density ... 3.3 g cm⁻³
Uncorrected formation energy ... -171 meV per atom

a b c (Å): 3.2874 3.2874 28.8366
angles (deg): 90.00 90.00 120.00
Space group R3m (No. 160, hexagonal axes)
Inequivalent atoms, fractional coordinates:
Li (0.0000, 0.0000, 0.0000) (multiplicity 3)
Li (0.0000, 0.0000, 0.2455) (multiplicity 3)
Sc (0.0000, 0.0000, 0.4920) (multiplicity 3)
Sb (0.0000, 0.0000, 0.7435) (multiplicity 3)

# 2
As2Ir2Au at its PBEsol-relaxed geometry, computed with SCAN.

## Properties
Density ... 14.3 g cm⁻³
Formation enthalpy at 0 K ... 97 meV/atom

a b c (Å): 3.869 3.869 11.332
angles (deg): 90.00 90.00 90.00
Space group I4/mmm (No. 139)
Inequivalent atoms, fractional coordinates:
As (0.000, 0.500, 0.250) (multiplicity 4)
Ir (0.000, 0.000, 0.116) (multiplicity 4)
Au (0.000, 0.000, 0.500) (multiplicity 2)

# 3
Al2MoSe at its PBEsol-relaxed geometry, computed with SCAN.

## Properties
Density ... 5.6 g cm⁻³
Uncorrected formation energy ... 25 meV per atom

a b c (Å): 3.0956 3.0956 24.4629
angles (deg): 90.00 90.00 120.00
Space group R3m (No. 160, hexagonal axes)
Inequivalent atoms, fractional coordinates:
Al (0.0000, 0.0000, 0.0000) (multiplicity 3)
Al (0.0000, 0.0000, 0.2452) (multiplicity 3)
Mo (0.0000, 0.0000, 0.4947) (multiplicity 3)
Se (0.0000, 0.0000, 0.7570) (multiplicity 3)

# 4
Mg2AlTl at its PBEsol-relaxed geometry, computed with SCAN.

## Properties
Density ... 5.4 g cm⁻³
Formation enthalpy at 0 K ... -18 meV/atom

a b c (Å): 3.164 3.164 8.536
angles (deg): 90.00 90.00 90.00
Space group P4/mmm (No. 123)
Inequivalent atoms, fractional coordinates:
Mg (0.000, 0.000, 0.232) (multiplicity 2)
Al (0.500, 0.500, 0.000) (multiplicity 1)
Tl (0.500, 0.500, 0.500) (multiplicity 1)

# 5
ScTeIr4 at its PBEsol-relaxed geometry, computed with SCAN.

## Properties
Density ... 15.4 g cm⁻³
Uncorrected formation energy ... -117 meV per atom

a b c (Å): 7.401 7.401 7.401
angles (deg): 90.00 90.00 90.00
Space group F-43m (No. 216)
Inequivalent atoms, fractional coordinates:
Sc (0.000, 0.000, 0.000) (multiplicity 4)
Te (0.250, 0.250, 0.750) (multiplicity 4)
Ir (0.125, 0.125, 0.375) (multiplicity 16)

# 6
SbClF10 at its PBEsol-relaxed geometry, computed with SCAN.

## Properties
Density ... 3.1 g cm⁻³
Uncorrected formation energy ... -1468 meV per atom

a b c (Å): 5.837 14.925 8.498
angles (deg): 90.00 90.00 90.00
Space group Pbcm (No. 57)
Inequivalent atoms, fractional coordinates:
Sb (0.088, 0.145, 0.250) (multiplicity 4)
Cl (0.420, 0.661, 0.750) (multiplicity 4)
F (0.082, 0.149, 0.028) (multiplicity 8)
F (0.089, 0.538, 0.250) (multiplicity 4)
F (0.192, 0.603, 0.750) (multiplicity 4)
F (0.193, 0.716, 0.250) (multiplicity 4)
F (0.249, 0.241, 0.750) (multiplicity 4)
F (0.371, 0.084, 0.250) (multiplicity 4)
F (0.407, 0.079, 0.750) (multiplicity 4)
F (0.418, 0.657, 0.554) (multiplicity 8)

# 7
NbRuSeN2 at its PBEsol-relaxed geometry, computed with SCAN.

## Properties
>>>
So where does this leave us? If the voters approve Proposal 1 in May, the sales tax will rise from six to seven percent on most goods, there will no longer be a sales tax on gasoline and diesel fuel sales, the fuel tax will significantly increase, the permissible uses of the School Aid Fund will be constitutionally altered, the School Aid Fund and local governments will begin to receive more funding from sales-tax revenue, and Michigan’s earned-income tax credit will be enlarged. On the other hand, if the voters reject Proposal 1 in May, the sales tax will remain at six percent across the board, the increased fuel tax will never take effect, and the road-funding debate will have to start all over from scratch.
You have to admire the strategy employed by Governor Snyder and the leaders of the previous Legislature in the wee, small hours of the morning. In designing Proposal 1 and the related package of legislation, they were careful to provide specific monetary benefits for many of the very constituencies that will be needed to ensure passage of the proposal in May. Through a careful orchestration of bills and resolutions, they guaranteed that schools, community colleges, cities and villages, county road commissions, public transportation, career and technical programs, and lower-income taxpayers will all receive a greater piece of the pie if Proposal 1 is approved. The only problem is that, by all accounts, these constituencies represent a minority of likely voters. But as we all know, it will take a majority of voters to approve Proposal 1. According to recent polls, most voters remain unconvinced.